4201-R Sick Leave Bank

  • The Return to Work Committee will use the following rules and regulations in administering the Sick Leave Bank:
    • Employees of Campbell County School District, who earn sick leave, are eligible to enroll in the sick leave bank by donating eight (8) hours of their sick leave.
    • Members of the bank need not contribute one day each year.  After the initial contribution, additional days will only be withdrawn from bank members' accumulated days when the total number of days in the bank falls below 100.  This will be done annually in October.
    • Those who wish to join the bank must do so between September 1 and October 15.
    • Donated sick leave days will be forfeited by the contributing employee. The donated days will not revert back to the employee, should the employee choose to discontinue membership, or be denied continued membership because of failure to contribute additional days in the Sick Leave Bank. The days in the Sick Leave Bank will be cumulative from year to year.
'''
#a
Compound: PdSeO4
Source: the Materials Project database
Functional: PBE-GGA
Structure: optimized geometry

Results
* SG: No. 15

a = 5.054 Å, b = 5.054 Å, c = 8.200 Å
α = 85.87°, β = 85.87°, γ = 68.96°
Sites, in units of the cell vectors:
Pd1 0.000 0.500 0.500
Pd2 0.500 0.000 0.000
Se1 0.935 0.065 0.250
Se2 0.065 0.935 0.750
O1 0.076 0.266 0.716
O2 0.791 0.264 0.415
O3 0.209 0.736 0.585
O4 0.266 0.076 0.216
O5 0.734 0.924 0.784
O6 0.736 0.209 0.085
O7 0.264 0.791 0.915
O8 0.924 0.734 0.284

***

#b
Compound: PdSeO4
Source: the Materials Project database
Functional: PBE-GGA
Structure: optimized geometry

Results
* SG: No. 15

a = 5.123 Å, b = 5.123 Å, c = 7.910 Å
α = 83.32°, β = 83.32°, γ = 77.93°
Sites, in units of the cell vectors:
Pd1 0.000 0.500 0.500
Pd2 0.500 0.000 0.000
Se1 0.931 0.069 0.250
Se2 0.069 0.931 0.750
O1 0.114 0.252 0.710
O2 0.800 0.238 0.423
O3 0.200 0.762 0.577
O4 0.252 0.114 0.210
O5 0.748 0.886 0.790
O6 0.762 0.200 0.077
O7 0.238 0.800 0.923
O8 0.886 0.748 0.290

***

Least stable of them? #a.

***

#a
Compound: Mg14BiMo
Source: the Materials Project database
Functional: PBE-GGA
Structure: optimized geometry

Results
* SG: No. 187

a = 6.301 Å, b = 6.301 Å, c = 10.324 Å
α = 90.00°, β = 90.00°, γ = 120.00°
Sites, in units of the cell vectors:
Mg1 0.165 0.832 0.125
Mg2 0.167 0.833 0.625
Mg3 0.668 0.335 0.125
Mg4 0.667 0.333 0.625
Mg5 0.668 0.832 0.125
Mg6 0.667 0.833 0.625
Mg7 0.329 0.171 0.359
Mg8 0.329 0.171 0.891
Mg9 0.329 0.658 0.359
Mg10 0.329 0.658 0.891
Mg11 0.842 0.171 0.359
Mg12 0.842 0.171 0.891
Mg13 0.833 0.667 0.373
Mg14 0.833 0.667 0.877
Bi1 0.167 0.333 0.625
Mo1 0.167 0.333 0.125

***

#b
Compound: Mg14BiMo
Source: the Materials Project database
Functional: PBE-GGA
Structure: optimized geometry

Results
* SG: No. 38

a = 6.339 Å, b = 6.345 Å, c = 10.254 Å
α = 90.00°, β = 90.00°, γ = 120.03°
Sites, in units of the cell vectors:
Mg1 0.166 0.333 0.625
Mg2 0.168 0.834 0.625
Mg3 0.668 0.333 0.125
Mg4 0.667 0.332 0.625
Mg5 0.668 0.834 0.125
Mg6 0.667 0.834 0.625
Mg7 0.332 0.174 0.373
Mg8 0.332 0.174 0.877
Mg9 0.332 0.658 0.373
Mg10 0.332 0.658 0.877
Mg11 0.841 0.171 0.370
Mg12 0.841 0.171 0.880
Mg13 0.830 0.665 0.380
Mg14 0.830 0.665 0.870
Bi1 0.161 0.830 0.125
Mo1 0.168 0.334 0.125

***

Least stable of them? #b.

***

#a
Compound: CsHSO4
Source: the Materials Project database
Functional: PBE-GGA
Structure: optimized geometry

Results
* SG: No. 11

a = 5.946 Å, b = 5.603 Å, c = 7.297 Å
α = 79.84°, β = 90.00°, γ = 90.00°
Sites, in units of the cell vectors:
Cs1 0.250 0.986 0.715
Cs2 0.750 0.014 0.285
H1 0.500 0.500 0.000
H2 0.000 0.500 0.000
S1 0.750 0.454 0.759
S2 0.250 0.546 0.241
O1 0.457 0.622 0.117
O2 0.543 0.378 0.883
O3 0.750 0.313 0.611
O4 0.043 0.622 0.117
O5 0.957 0.378 0.883
O6 0.250 0.282 0.299
O7 0.250 0.687 0.389
O8 0.750 0.718 0.701

***

#b
Compound: CsHSO4
Source: the Materials Project database
Functional: PBE-GGA
Structure: optimized geometry

Results
* SG: No. 14
'''
    • The bank is for their spouse's, child's or their catastrophe only. (Catastrophe: A sudden calamity; a great misfortune - please also see #6 below). Only members of the Sick Leave Bank may apply to use days from the bank. 
    • The committee may require a healthcare provider's letter verifying a catastrophic situation. 
    • Members are eligible to apply for Sick Leave Bank days (8 hour equivalent) equal to the number of days she/he had available to them when the catastrophe occurred. These days recommended by the Return to Work Committee would not require repayment to the Sick Leave Bank.  Additional days beyond this would be determined by the Return to Work Committee.
    • If additional days are needed the member may reapply for additional days. The days, if approved at this level, would have to be repaid at the rate of two days (8 hours) per year.
    • The maximum number of days that an employee may utilize will be the number that it takes for them to reach Short Term Disability if for themselves, or the number of days at the start of the current contract period if for their spouse or child. Days granted by the Return to Work Committee will be through the conclusion of the school year, or the employee's current contract period.
    • Sick Leave Bank benefits are applicable for the duration of the employee's continuous employment.
    • Sick Leave Bank days may not be drawn until the employee has utilized all days available to the employee; i.e. sick leave, convenience leave, vacation leave, comp time, etc.
    • Requests to use days from the Sick Leave Bank should be made to the Human Resources Department.  All requests must be submitted in written form at the earliest possible time.  In an emergency, requests may be made verbally but must be followed by a written request at the earliest possible time.  An employee's request must include the number of days desired from the bank.  The number of days cannot extend past the current school year.  All records for requests will be kept in the Human Resources Department.
    • For the purpose of this regulation the term day or days shall refer to eight (8) hours of employment.
    • The role of the Return to Work Committee is to allow or disallow the request of the employee based upon the above rules and regulations.
== The text is interrupted by data records ==
LaCuO3 | Materials Project | PBE | relaxed; calculated formation energy = -2.42 eV/atom; mass density = 7.1 g/cm3; volume = 58.99 Å³/f.u.; calculated total energy = -6.79 eV/atom
1.0
-2.537 2.360 -4.204
1.419 -1.461 -5.053
-3.499 -2.972 -2.934
La Cu O
2 2 6
direct
0.750 0.750 0.750
0.250 0.250 0.250
0.500 0.500 0.500
0.000 0.000 0.000
0.750 0.189 0.311
0.311 0.750 0.189
    ADOPTION DATE: September 28, 1998; Revised August 23, 1999; Reviewed December 12, 2006; Revised May 12, 2015; Revised January 24, 2023